== Contents ==
-- begin --
Record 1
This record from Materials Project describes a relaxed structure of DyIn2Pd. The functional is r²SCAN.

Properties
For the formation energy, the calculation gives -74.0 kJ per mole of atoms.

Lattice parameters (Å, degrees): 10.757 10.757 10.757 100.42 100.42 129.67
Fractional positions:
Dy  0.000  0.000  0.000
Dy  0.072  0.352  0.279
Dy  0.072  0.793  0.721
Dy  0.352  0.072  0.279
Dy  0.384  0.384  0.596
Dy  0.384  0.787  0.000
Dy  0.470  0.470  0.000
Dy  0.787  0.384  0.000
Dy  0.787  0.787  0.404
Dy  0.793  0.072  0.721
In  0.107  0.107  0.737
In  0.107  0.369  0.000
In  0.194  0.686  0.208
In  0.194  0.985  0.507
In  0.214  0.597  0.617
In  0.369  0.107  0.000
In  0.369  0.369  0.263
In  0.478  0.686  0.493
In  0.478  0.985  0.792
In  0.581  0.743  0.838
In  0.597  0.214  0.617
In  0.597  0.980  0.383
In  0.686  0.194  0.208
In  0.686  0.478  0.493
In  0.743  0.581  0.838
In  0.743  0.906  0.162
In  0.906  0.743  0.162
In  0.980  0.597  0.383
In  0.985  0.194  0.507
In  0.985  0.478  0.792
Pd  0.090  0.090  0.322
Pd  0.090  0.768  0.000
Pd  0.221  0.436  0.785
Pd  0.346  0.846  0.500
Pd  0.436  0.221  0.785
Pd  0.436  0.650  0.215
Pd  0.650  0.436  0.215
Pd  0.768  0.090  0.000
Pd  0.768  0.768  0.678
Pd  0.846  0.346  0.500

Record 2
This record from Materials Project describes a relaxed structure of DyInPt. The functional is r²SCAN.

Properties
For the formation energy, the calculation gives -110.4 kJ per mole of atoms.

Lattice parameters (Å, degrees): 7.626 7.626 3.853 90.00 90.00 120.00
Fractional positions:
Dy  0.000  0.594  0.000
Dy  0.406  0.406  0.000
Dy  0.594  0.000  0.000
In  0.000  0.261  0.500
In  0.261  0.000  0.500
In  0.739  0.739  0.500
Pt  0.000  0.000  0.000
Pt  0.333  0.667  0.500
Pt  0.667  0.333  0.500

Record 3
This record from Materials Project describes a relaxed structure of DyIn4Pt4. The functional is r²SCAN.

Properties
For the formation energy, the calculation gives -80.6 kJ per mole of atoms.

Lattice parameters (Å, degrees): 4.564 4.564 20.111 90.00 90.00 120.00
Fractional positions:
Dy  0.333  0.667  0.250
Dy  0.667  0.333  0.750
In  0.000  0.000  0.142
In  0.000  0.000  0.358
In  0.000  0.000  0.642
In  0.000  0.000  0.858
In  0.333  0.667  0.542
In  0.333  0.667  0.958
In  0.667  0.333  0.042
In  0.667  0.333  0.458
Pt  0.333  0.667  0.095
Pt  0.333  0.667  0.405
Pt  0.333  0.667  0.680
Pt  0.333  0.667  0.820
Pt  0.667  0.333  0.180
Pt  0.667  0.333  0.320
Pt  0.667  0.333  0.595
Pt  0.667  0.333  0.905

Record 4
This record from Materials Project describes a relaxed structure of Dy5In4Pt2. The functional is r²SCAN.

Properties
For the formation energy, the calculation gives -92.9 kJ per mole of atoms.

Lattice parameters (Å, degrees): 8.064 18.162 3.626 90.00 90.00 90.00
Fractional positions:
Dy  0.000  0.000  0.000
Dy  0.116  0.416  0.000
Dy  0.244  0.220  0.000
Dy  0.256  0.720  0.000
Dy  0.384  0.916  0.000
Dy  0.500  0.500  0.000
Dy  0.616  0.084  0.000
Dy  0.744  0.280  0.000
Dy  0.756  0.780  0.000
Dy  0.884  0.584  0.000
In  0.075  0.851  0.500
In  0.210  0.568  0.500
In  0.290  0.068  0.500
In  0.425  0.351  0.500
In  0.575  0.649  0.500
In  0.710  0.932  0.500
In  0.790  0.432  0.500
In  0.925  0.149  0.500
Pt  0.027  0.304  0.500
Pt  0.473  0.804  0.500
Pt  0.527  0.196  0.500
Pt  0.973  0.696  0.500

Record 5
This record from Materials Project describes a relaxed structure of DyInRh2. The functional is r²SCAN.

Properties
For the formation energy, the calculation gives -81.2 kJ per mole of atoms.

Lattice parameters (Å, degrees): 4.661 4.661 4.661 60.00 60.00 60.00
Fractional positions:
Dy  0.000  0.000  0.000
In  0.500  0.500  0.500
Rh  0.250  0.250  0.250
Rh  0.750  0.750  0.750

Record 6
This record from Materials Project describes a relaxed structure of DyIn5Rh. The functional is r²SCAN.

Properties
For the formation energy, the calculation gives -51.7 kJ per mole of atoms.

Lattice parameters (Å, degrees): 4.633 4.633 7.425 90.00 90.00 90.00
-- stop --

== Work order ==
Please work out how many lines further up have the word "This" in them; a number is enough.

== Reply ==
6